Input
┌──
# 1
Below is a structure of composition C38H30GeN2O9SV in a non-equilibrium geometry, with properties calculated with ωB97M-V with the def2-TZVPD basis set.

Output
HOMO energy (spin up / spin down) (hartree): -0.33411 / -0.33952
<S²>: 0.782
Orbital gap (spin up / spin down) (eV): 7.1 / 8.0
Multiplicity: 2

```
82
C38H30GeN2O9SV ωB97M-V with the def2-TZVPD basis set
V -1.14 -1.58 -1.26
C -5.23 -2.78 5.20
C -4.72 -3.09 3.82
C -5.60 -3.46 2.80
C -5.13 -3.74 1.53
C -3.77 -3.66 1.27
C -2.87 -3.31 2.27
C -3.35 -3.04 3.54
S -3.18 -3.97 -0.36
O -4.26 -4.51 -1.13
O -1.93 -4.65 -0.29
N -2.83 -2.45 -0.92
C -3.61 -1.35 -1.01
C -4.99 -1.16 -1.06
C -5.44 0.12 -1.26
C -4.54 1.18 -1.44
C -3.19 0.92 -1.38
N -2.74 -0.31 -1.12
H -6.26 -2.44 5.17
H -4.62 -2.02 5.68
H -5.19 -3.68 5.83
H -6.66 -3.53 3.01
H -5.80 -4.05 0.73
H -1.81 -3.28 2.05
H -2.66 -2.77 4.33
H -5.66 -2.01 -0.97
H -6.51 0.32 -1.30
H -4.89 2.18 -1.62
H -2.45 1.70 -1.50
O 3.73 -4.37 -0.72
C 2.61 -3.96 -0.76
C 1.69 -3.97 -1.99
O 1.94 -4.45 -3.05
C 0.47 -3.26 -1.55
C 0.56 -2.87 -0.21
O -0.48 -2.27 0.31
C 1.84 -3.29 0.38
O 2.23 -3.15 1.51
O -0.68 -3.07 -2.17
O -0.84 -0.52 -3.22
C 0.17 -0.19 -2.57
O 0.12 -0.23 -1.27
C 1.47 0.26 -3.17
C 1.86 1.71 -2.79
Ge 2.42 2.22 -0.93
C 1.13 2.04 0.53
C -0.02 2.84 0.53
C -1.03 2.63 1.46
C -0.90 1.63 2.42
C 0.26 0.86 2.45
C 1.26 1.06 1.51
C 2.85 4.13 -1.11
C 3.05 4.90 0.04
C 3.39 6.24 -0.04
C 3.53 6.84 -1.28
C 3.32 6.10 -2.44
C 2.99 4.75 -2.35
C 4.05 1.23 -0.45
C 5.25 1.92 -0.28
C 6.39 1.26 0.14
C 6.35 -0.11 0.39
C 5.17 -0.81 0.21
C 4.03 -0.14 -0.21
H 1.39 0.17 -4.25
H 2.24 -0.43 -2.81
H 1.06 2.39 -3.08
H 2.74 1.95 -3.39
H -0.12 3.63 -0.21
H -1.91 3.25 1.45
H -1.68 1.47 3.15
H 0.37 0.08 3.20
H 2.15 0.45 1.56
H 2.93 4.43 1.02
H 3.55 6.82 0.86
H 3.80 7.89 -1.35
H 3.43 6.56 -3.41
H 2.83 4.19 -3.26
H 5.28 2.99 -0.48
H 7.32 1.81 0.26
H 7.24 -0.62 0.74
H 5.14 -1.88 0.40
H 3.12 -0.71 -0.35
```


# 2
Below is a structure of composition C38H30MoN3O7S2, with properties calculated with ωB97M-V with the def2-TZVPD basis set.

Output
HOMO energy (hartree): -0.55118
Orbital gap (eV): 5.5
Net charge: +3

```
81
C38H30MoN3O7S2 ωB97M-V with the def2-TZVPD basis set
Mo 0.62 -0.15 1.25
O -0.64 -1.20 5.31
C -0.26 -0.39 4.36
O -0.31 -0.71 3.18
C 0.14 0.96 4.92
O 0.54 1.86 3.92
C 1.91 2.20 3.90
C 2.78 1.23 3.10
O 3.95 1.13 3.14
O 2.01 0.46 2.22
H -0.94 -2.06 4.97
H 0.89 0.81 5.70
H -0.75 1.35 5.42
H 2.34 2.28 4.90
H 2.00 3.17 3.42
S 4.82 -2.09 -2.35
C 5.83 -2.35 -3.69
C 5.69 -1.38 -4.64
C 4.74 -0.41 -4.28
C 4.17 -0.65 -3.05
C 3.16 0.15 -2.37
C 2.51 -0.34 -1.23
N 1.57 0.34 -0.57
C 1.20 1.56 -1.03
C 1.79 2.15 -2.15
C 1.33 3.45 -2.57
C 0.33 4.07 -1.91
C -0.30 3.47 -0.76
C -1.33 4.07 -0.03
C -1.89 3.44 1.08
C -1.35 2.19 1.44
N -0.35 1.61 0.77
C 0.17 2.23 -0.33
C -2.97 4.02 1.87
C -3.33 3.72 3.16
C -4.43 4.49 3.61
C -4.88 5.35 2.66
S -3.98 5.25 1.22
C 2.80 1.42 -2.80
H 6.49 -3.20 -3.71
H 6.26 -1.37 -5.56
H 4.49 0.43 -4.91
H 2.77 -1.31 -0.82
H 1.79 3.91 -3.43
H -0.02 5.05 -2.24
H -1.70 5.04 -0.33
H -1.73 1.65 2.30
H -2.81 3.00 3.78
H -4.86 4.41 4.60
H -5.70 6.05 2.74
H 3.29 1.86 -3.66
C -0.72 -4.44 -2.90
O -1.38 -3.46 -2.08
C -1.23 -2.16 -2.39
C -0.33 -1.67 -3.33
C -0.30 -0.31 -3.63
C -1.16 0.58 -2.99
C -2.04 0.11 -2.04
C -2.06 -1.24 -1.73
N -3.09 -1.70 -0.85
C -3.10 -2.59 0.09
C -2.01 -3.33 0.69
C -2.33 -4.63 1.10
C -1.36 -5.49 1.57
C -0.05 -5.04 1.68
C 0.28 -3.73 1.35
C -0.69 -2.88 0.86
O -0.36 -1.58 0.62
H -1.07 -5.40 -2.54
H 0.36 -4.37 -2.77
H -0.99 -4.31 -3.94
H 0.32 -2.34 -3.87
H 0.38 0.04 -4.39
H -1.16 1.63 -3.26
H -2.74 0.78 -1.56
H -4.01 -1.31 -1.07
H -4.09 -2.84 0.45
H -3.35 -4.97 1.01
H -1.62 -6.50 1.86
H 0.72 -5.70 2.06
H 1.30 -3.38 1.47
```


Calculated values (kJ/mol) of ΔE to the lowest compared entry with this formula, charge and spin for the records, taken in order: 63.2; 0.0.
└──
Work order
Could you quote the calculation results earlier on from the first line to the one with "2.99 4.75" word for word?
Solution
# 1
Below is a structure of composition C38H30GeN2O9SV in a non-equilibrium geometry, with properties calculated with ωB97M-V with the def2-TZVPD basis set.

Output
HOMO energy (spin up / spin down) (hartree): -0.33411 / -0.33952
<S²>: 0.782
Orbital gap (spin up / spin down) (eV): 7.1 / 8.0
Multiplicity: 2

```
82
C38H30GeN2O9SV ωB97M-V with the def2-TZVPD basis set
V -1.14 -1.58 -1.26
C -5.23 -2.78 5.20
C -4.72 -3.09 3.82
C -5.60 -3.46 2.80
C -5.13 -3.74 1.53
C -3.77 -3.66 1.27
C -2.87 -3.31 2.27
C -3.35 -3.04 3.54
S -3.18 -3.97 -0.36
O -4.26 -4.51 -1.13
O -1.93 -4.65 -0.29
N -2.83 -2.45 -0.92
C -3.61 -1.35 -1.01
C -4.99 -1.16 -1.06
C -5.44 0.12 -1.26
C -4.54 1.18 -1.44
C -3.19 0.92 -1.38
N -2.74 -0.31 -1.12
H -6.26 -2.44 5.17
H -4.62 -2.02 5.68
H -5.19 -3.68 5.83
H -6.66 -3.53 3.01
H -5.80 -4.05 0.73
H -1.81 -3.28 2.05
H -2.66 -2.77 4.33
H -5.66 -2.01 -0.97
H -6.51 0.32 -1.30
H -4.89 2.18 -1.62
H -2.45 1.70 -1.50
O 3.73 -4.37 -0.72
C 2.61 -3.96 -0.76
C 1.69 -3.97 -1.99
O 1.94 -4.45 -3.05
C 0.47 -3.26 -1.55
C 0.56 -2.87 -0.21
O -0.48 -2.27 0.31
C 1.84 -3.29 0.38
O 2.23 -3.15 1.51
O -0.68 -3.07 -2.17
O -0.84 -0.52 -3.22
C 0.17 -0.19 -2.57
O 0.12 -0.23 -1.27
C 1.47 0.26 -3.17
C 1.86 1.71 -2.79
Ge 2.42 2.22 -0.93
C 1.13 2.04 0.53
C -0.02 2.84 0.53
C -1.03 2.63 1.46
C -0.90 1.63 2.42
C 0.26 0.86 2.45
C 1.26 1.06 1.51
C 2.85 4.13 -1.11
C 3.05 4.90 0.04
C 3.39 6.24 -0.04
C 3.53 6.84 -1.28
C 3.32 6.10 -2.44
C 2.99 4.75 -2.35